
  1. 建筑美的形态建构法

    The Methods of Construction of the Form of Architectural Beauty

  2. 从美的形态划分,《内经》理论具有深层科学理性美。

    Neijing has the deep rational beauty in the modality of Beauty .

  3. 科技论文美的形态和特征

    The beauty of sci-tech articles : forms and characteristics

  4. 中国诗行美的形态

    On the Configuration of Chinese Poetic Line 's Beauty

  5. 中国古代美学属于古典主义美学,在美的形态上主张和谐美。

    As a classical aesthetics , traditional Chinese aesthetics emphasizes the beauty of harmoniousness .

  6. 冀东民间故事具有美的形态、审美价值与美育功能。

    The folktales there have the esthetical conformation , art taste value and beauty training function .

  7. 美的形态再探索

    Re-exploring the Forms of Beauty

  8. 你是一种美的形态。

    You are a grace .

  9. 学生经过舞蹈形体课的训练,提高了自信心和表现力,塑造了美的形态和高雅的气质。

    The students gained confidence through the training ,( became ) more elegant and had more beautiful figures .

  10. 以静美的形态倾听风,花朵,沉痛,还有智慧的双眼。

    Listen to the wind , flowers , remorse , and also wise pupils in quiet beautiful manner .

  11. 本文试从思想内容和语言形式所构成的诸种关系中,探讨语言的各种美的形态。

    This article tries to probe into different kinds of language patterns from the relationships between thinking content and language style .

  12. 在美的形态中,依附美显得尤为重要,它以客观的合目的性而与道德联系在一起。

    In the forms of beauty , accessory beauty is especially important , it is connected with morality because of objective purposiveness .

  13. 美的形态,在美学界又有美的范畴说,本文通过辨析,认为以用美的形态说为科学。

    This article suggests that " the form of beauty " is a more scientific term than " the category of beauty " .

  14. 语文科中的美的形态:自然美、社会美、艺术美;

    In the Chinese language course , the beauty 's states refer to beauty of nature , beauty of society and beauty of art .

  15. 这里面讲的美的形态或类型主要有崇高美、悲情美、悲壮美、优美、壮美、肖像美、自然美等。

    They mainly include sublime beauty , sorrowful beauty , solemn-stirring beauty , graceful beauty , magnificent beauty , portrait beauty , natural beauty and etc.

  16. 然后探讨建筑审美,包括美的形态分类,技术与艺术的关系,以及历史上对建筑美的各种看法。以上两部分是基础理论。

    Then we discuss architectural aesthetics judgment , including classify of beauty , relationship between technique and arts , and opinions on architecture aesthetics in the history .

  17. 而壮美这种美的形态在女性主角恋情诗中得以广泛展示,是有其深厚的生成背景的。

    But strong beautiful this kind of beautiful appearance is in the poem inside of female leading role romance can extensive display , and have its deep bom background .

  18. 产品的形态设计是工业设计师的重要工作方面,赋予工业产品美的形态和文化内涵是设计师的根本职责。

    Product model design is an industrial designer 's most import task , and it is the designer 's responsibility to endow the product with aesthetic values and cultural conveyance .

  19. 关于美的形态分类,我国美学界由于受西方美学界的影响,一般分为优美、崇高(或壮美)、悲剧(或悲)、喜剧(或喜)、滑稽、幽默等。

    Chinese aesthetes , influenced by western aesthetics , traditional classifies the forms of beauty into elegance , loftiness ( or majesticity ), tragedy , comedy , farce , and humor .

  20. 现代日本故事漫画更是不断从现代艺术中吸取营养,在其发展过程中形成了自己独特的艺术风格和特征,表现出更多美的形态和丰富的审美价值。

┌──
[1]
DFT (the ωB97M-V functional and the def2-TZVPD basis) results for a structure of composition C5H9LiO3 in a non-equilibrium geometry.

XYZ file:
```
18
Properties=species:S:1:pos:R:3:forces:R:3:lowdin_spin:R:1
O -0.901977 1.727922 -0.305164 -1.68 0.63 0.28 0.090
C -0.556436 0.752940 -1.111202 3.69 -0.74 -0.50 0.395
O -0.740881 0.824925 -2.303350 -1.32 0.04 -0.19 0.116
Li -1.728095 2.463059 -1.912047 -0.01 0.08 -0.28 0.019
C -0.505188 1.728543 1.099359 0.19 -0.32 0.56 0.006
H -0.976636 2.614047 1.537304 0.05 -0.20 -0.31 0.001
H -0.934665 0.826953 1.550875 0.11 0.28 -0.06 0.000
C 0.997773 1.770776 1.201453 0.29 -0.08 0.15 0.011
H 1.443983 0.807021 0.922329 -0.12 0.31 0.07 0.006
H 1.413288 2.555653 0.555810 -0.10 -0.15 0.22 0.001
H 1.271241 1.991432 2.240756 0.00 -0.05 -0.25 0.000
O -0.366924 -0.829913 -0.293187 -1.39 -2.20 -0.34 0.119
C -0.230315 -1.961312 -0.895707 1.24 2.52 0.43 0.181
C 0.400966 -3.104070 -0.193755 0.06 -0.06 0.15 0.034
H -0.287960 -1.951681 -1.996608 -0.69 -0.21 0.36 0.004
H 1.402867 -3.298613 -0.615090 -0.33 0.06 0.01 0.013
H -0.200380 -4.006896 -0.363110 0.14 0.14 0.03 0.001
H 0.499338 -2.910787 0.881334 -0.12 -0.04 -0.33 0.001
```
Forces are in eV/Å.

Output
* max |F|: 3.79 eV/A
* ⟨S²⟩: 0.76
* relative energy (zero: lowest compared OMol25 entry of this formula, charge and spin): 0.482 eV
* total charge: +1
* highest occupied orbital energy (spin up / spin down): -10.58 / -15.06 eV
* 2S+1: 2
* LUMO energy (spin up / spin down): -3.88 / -4.07 eV
* HOMO-LUMO gap (spin up / spin down): 6.7 / 11.0 eV


[2]
DFT (the ωB97M-V functional and the def2-TZVPD basis) results for a cluster of 7 separate species, C27H64NO8S2 in total in a non-equilibrium geometry.

XYZ file:
```
102
Properties=species:S:1:pos:R:3:forces:R:3:lowdin_charge:R:1
C 4.557662 -0.722776 2.377987 0.37 -0.50 0.09 -0.112
C 5.151842 -1.325616 1.088635 -0.14 0.21 -0.34 -0.254
C 4.102594 -2.067207 0.227957 -0.22 0.19 0.51 -0.218
C 3.563474 -1.212276 -0.933040 0.34 -0.33 0.31 -0.205
C 2.159098 -1.647184 -1.322693 -0.25 -0.12 -0.36 -0.223
C 1.514512 -0.856036 -2.461188 0.09 0.31 0.18 -0.209
C 1.563956 0.651056 -2.208346 0.20 0.09 -0.16 -0.187
C 0.629705 1.465675 -3.112102 0.59 -0.07 0.35 -0.175
N -0.508885 2.069994 -2.356207 -0.33 0.40 -1.69 -0.153
C -1.667231 1.163912 -2.454241 -0.10 -0.69 0.56 -0.206
C -2.678591 1.227371 -1.299167 -0.11 0.13 -0.03 -0.186
C -2.122393 1.816664 0.001176 -0.55 -0.21 0.19 -0.225
C -2.994271 1.381044 1.202512 0.23 -0.51 -0.67 -0.179
C -2.654138 -0.081635 1.607534 -0.24 0.24 0.38 -0.197
C -3.723294 -1.132544 1.244175 0.16 -0.31 -0.34 -0.220
C -3.172951 -2.405410 0.556309 -0.22 -0.01 0.26 -0.263
C -1.963665 -3.049668 1.244084 -0.01 -0.25 -0.33 -0.111
C -0.754219 3.388297 -2.631799 0.10 0.02 0.54 -1.080
S -2.203547 4.009774 -3.096805 -0.19 -0.02 0.13 0.632
S 0.628257 4.541589 -2.511988 0.11 0.00 -0.11 0.840
C 1.048155 4.715971 -0.747834 0.43 -0.27 0.52 -0.465
C 1.761675 3.555824 -0.001112 -0.39 0.15 0.39 -0.216
└──

    Modern Comic of Japan has typically imbibed much nutrition from modern arts constantly and has shaped its unique style of art and character in the course of its development , with more configurations of aesthetics and rich appreciative value expressed .

  21. 在美学的原则指导下,以美的形态把传统建筑元素、文化意蕴物化为我们的校园,探究学校建设中,真善美的和谐统一。

    Under the guidance of the principles of aesthetics , using the form of aesthetics , materialize the traditional elements of architecture and cultural implication for our campus ; explore the harmonious unity of the truth , goodness and beauty in school construction .

  22. 它是多种美的形态的具体表现和综合统一体,是主观与客观、内容与形式、物质与精神的统一体,是真善美的统一体。

    It is not only a concrete expression of various forms of beauty , but also a comprehensive unit of various forms of beauty , of subject and object , content and format , material and spirit , and of the truth , goodness and beauty .

  23. 和谐·对立·辩证和谐&美的历史形态分析

    Harmonies · Opposites · Dialectical Harmonies & Historical morphologic analyses on beauties

  24. 所谓形文、声文、情文则是艺术美的不同形态。

    The so-called " Wen of Xing ", " Wen of Sheng " and " Wen of Qing " are the various forms of artistic beauty .

  25. 在此基础上,便形成了中国传统城市生态美的典型形态&山水美和园林美以及传统民宅、宗教建筑的生态美。

    At the base of this , the typical form of ecological beauty of traditional city constructions takes shape : the beauty of mountain and river , the beauty of garden , the ecological beauty of human house and religious building .

  26. 对古老传统的陶瓷艺术,人们视之为永恒的东西,在这种理念和情感的驱使下,人们迫切渴望获得更强烈的永恒性美的纯粹形态,期望获得火的赏赐物。

    The ancient tradition of ceramic art , people regard it as the eternal things , in which ideas and driven by emotion , people urgently desire to be more strongly the eternal beauty of pure form , to obtain a reward of the fire .

  27. 魏晋时代悲美意识的主要形态。

    In chapter two , the major forms of melancholy beauty in Wei and Jin Dynasties will be examined .

  28. 他认为艺术作为美的主要表现形态,能够打开纯净的美的源泉,滋养培育高尚完美的人性。

    He thought , art , as a main form of beauty , was able to open the pure source of beauty and nourish noble and perfect humanity .

  29. 论美的第三种形态

    The Third Form of Beauty

  30. 本文并且对美的这两种形态的含义、特点和功能等作论述。

    The implications , characteristics and functions of these two forms of beauty are elaborated in the article .